Newcastle benefits from record infrastructure spend to buffer impact of COVID on local economy
22 Oct 2021
Audited financial statements for the last twelve months show that the City of Newcastle lifted its infrastructure spend by more than ten percent, to a record $102.4 million, to counter the impact of COVID-19 on the local economy.
### Between two parts of the article: crystal structures
____________
No. 1
## VH10SO10 (GGA+U)

Data for a relaxed VH10SO10 crystal. Values from VASP.

E_form: -1.541 eV/atom
crystal system: orthorhombic
E: -5.54 eV/atom
offset from the most stable computed form: 0.08 eV per formula unit
space group: No. 31

Structure (Quantum ESPRESSO input):
```
&SYSTEM
  ibrav = 0, nat = 44, ntyp = 4
/
ATOMIC_SPECIES
S 32.06 S.upf
H 1.01 H.upf
O 16.00 O.upf
V 50.94 V.upf
CELL_PARAMETERS angstrom
-4.438 1.448 -4.100
4.077 -2.787 -5.397
-3.972 -8.395 1.335
ATOMIC_POSITIONS angstrom
S -1.214 -2.635 -4.515
H 0.424 -4.779 -4.026
O -3.920 -0.343 -4.830
O -2.038 -0.928 -1.060
O -2.420 -3.253 -5.107
H -4.822 -4.751 -3.045
O -2.552 -8.567 -4.508
H -2.044 -1.192 -2.012
V -3.028 -6.683 -3.794
O -6.324 -4.638 -2.382
H -1.642 -8.878 -4.236
O -0.177 -9.448 -3.513
H -1.147 -2.089 -7.082
H -2.271 -6.495 -6.422
O -4.884 -7.233 -4.912
O -4.234 -7.416 -2.281
O -0.246 -2.291 -5.619
O -4.699 -1.775 -2.633
O 1.046 -5.499 -4.353
O -1.609 -1.359 -3.814
H -3.744 0.627 -4.965
O -1.702 -6.557 -2.858
H -3.643 -4.088 -3.999
O -0.546 -3.540 -3.542
O -3.917 -4.873 -3.467
H -4.804 -7.312 -5.894
H -2.198 -4.426 -0.975
O -1.525 -1.980 -8.000
O -3.496 -5.237 0.064
O -2.890 -7.592 0.079
O -2.327 -5.960 -5.572
O -1.441 -3.799 -1.061
H 1.142 -3.370 -6.230
H -3.798 -7.404 -1.382
H -1.102 -3.736 -2.006
V -1.129 -2.380 0.376
S -3.118 -6.371 0.935
H -2.328 -4.988 -5.741
H 0.563 -6.314 -4.631
H -1.158 -1.141 -8.389
H -4.680 -8.298 -2.396
H -3.068 -0.776 -4.539
H -5.694 -6.703 -4.715
H -3.190 -9.317 -4.369
```



No. 2
## Cr4P9O32 (GGA+U)

Data for a relaxed Cr4P9O32 crystal. Values from VASP.

E_form: -2.303 eV/atom
crystal system: tetragonal
E: -7.10 eV/atom
space group: No. 114

Structure (Quantum ESPRESSO input):
```
&SYSTEM
  ibrav = 0, nat = 90, ntyp = 3
/
ATOMIC_SPECIES
O 16.00 O.upf
Cr 52.00 Cr.upf
P 30.97 P.upf
CELL_PARAMETERS angstrom
-11.462 -5.730 -5.497
7.661 -10.516 -5.013
-0.941 -3.221 5.318
ATOMIC_POSITIONS angstrom
O -4.431 -16.200 -4.508
O -8.406 -12.574 -2.246
Cr -1.146 -7.773 -0.288
P -5.867 -8.914 0.015
P -9.301 -11.394 -1.955
P 0.077 -5.280 1.519
P -8.120 -6.622 -2.713
O 5.611 -12.984 -0.474
O 4.378 -10.736 -4.377
O -1.798 -3.556 -1.389
O 2.871 -9.611 1.543
P -4.083 -6.595 -0.153
O 0.250 -13.427 -7.506
O -2.621 -6.671 0.297
O -1.369 -8.882 1.258
Cr 0.584 -10.722 -3.577
O 3.139 -11.540 -0.079
P -2.371 -9.733 -2.596
O -3.523 -2.683 0.206
O -4.665 -6.940 -4.471
Cr 0.037 -3.117 -0.976
O 4.095 -12.360 -2.486
P 1.642 -8.284 -1.854
O -0.369 -1.505 0.063
O 0.070 -6.546 0.679
O -0.460 -12.174 -4.255
O -4.606 -12.247 -7.318
P 0.434 -12.921 -1.297
Cr -9.152 -8.674 -0.340
O 5.609 -8.147 -3.422
O -8.977 -7.589 -1.909
O -2.395 -13.733 -3.940
O -3.694 -4.494 3.542
P -4.055 -11.116 -6.464
O -3.695 -15.642 -9.086
O 2.904 -7.891 -1.127
O 0.723 -9.788 -5.242
O 2.117 -11.892 -4.022
O -4.150 -6.843 -1.679
O -2.757 -11.234 -2.533
O -9.541 -8.549 -6.345
P -5.067 -15.040 -5.301
O -5.042 -13.711 -4.564
Cr -5.096 -7.961 -2.909
Cr 3.699 -13.230 -0.827
O -4.173 -13.323 -1.927
____________
The record infrastructure spend, combined with a decision to put more than $10 million away for the future remediation of the long closed Astra Street waste facility meant the City of Newcastle’s operating result from continuing operations was a cash reserves funded deficit of $4.4 million compared with a forecast surplus of $1.6 million.
The operating result only becomes a deficit of $32.5 million with the exclusion of more than $28 million in income from grants and contributions for capital purposes including the $2.7 million consolidated as City of Newcastle's 50% share of capital grants received by the airport, $4.7 million in developer contributions, more than $10 million in grants for transport and roads and $10 million in assets donated to the City of Newcastle.
Despite the COVID-19 hit budget, CN remains in a strong financial position on the back of long-term prudent and progressive economic management, with total cash and investment reserves of $366 million, including unrestricted cash reserves of $22.6 million.
Newcastle Lord Mayor Nuatali Nelmes said City of Newcastle made a conscious choice during the early stages of the pandemic in 2020 to support the community with a $5.5 million Community and Economic Resilience Package and increased capital works budget.
"During COVID-19, Council decided to provide financial relief and support for vulnerable groups and business, and to expand existing services, while increasing investment in projects to stimulate the local economy and support jobs,” Cr Nelmes said.
"This included investing a record $102.4 million across the city through our capital works program in 2020/21 to provide upgraded or new community infrastructure that delivers real benefits for our community in their everyday lives.
“These crucial decisions were only possible due to our strong financial sustainability, a legacy of six consecutive surplus Budgets prior to the pandemic.
"We expected COVID-19 to place further strain on our community and our budget, however as a Council we understand the importance of providing targeted responses and support for those in need and our local economy.
City of Newcastle CEO Jeremy Bath said six years of consecutive budget surpluses had provided Council with the cash reserves to run a stimulus program during the worst of the pandemic.
“It’s been an extraordinary 18 months for the City of Newcastle. Despite the repeated hits from having to close down so many of our income generating services, we were able to avoid laying off staff, cutting community grants or suspending infrastructure projects.
“With the city now almost at 80% fully vaccinated, we can look forward with real optimism to Newcastle bouncing back to a stronger position than before the pandemic struck. For City of Newcastle, it will be a gradual return to profitability given the impact of the recent lockdown. Despite this we have set ourselves the challenge of lifting our infrastructure spend even higher over the coming year to ensure the local economy rebounds as quickly as possible”, he said.
In 2020/21 City of Newcastle also committed an additional $10 million to remediation work at Astra Street which will include final capping and reprofiling of the site, drainage improvements to aid in management of surface water and sediment runoff, followed by revegetation and landscaping.